Thursday, January 10, 2008


Our appointment yesterday with the geneticist actually takes place over the television. This keeps us from having to go to Columbia and we can just see the doctor and talk to her without actually being in the room with her. Our appointment was the first one after lunch so we didn't have to wait to be seen. Upon entering, the secretary asked Payton to step on the scale. Immediately Payton started saying "no noise! no noise!". I stepped on the scale and showed her there wouldn't be any noise and although she was still against having to step up there she did it and weighed in at her usual 27 lbs. Once we had the weight she had to get her height and she was worried about the noise that would make as well. Once that was finished we were able to get her calmed down and started talking with the geneticist. The doctor was pleased to hear Payton's speech (the last time we'd seen her Payton was probably only saying a few words) and was shocked how tall Payton was getting (38 inches! I was suprised too!). We began discussing the anxiety and I was explaining to Dr. Miles how in the past I didn't realize how nervous Payton was because she couldn't tell me. But, now that she can talk I realize her poor sleep habits and violent tantrums all stem from anxiety. Yes, Payton obviously misbehaves, but her behavior is entirely different when it's caused by anxiety. She almost goes into a rage, which is quite scary and sad to watch. After much discussion the doctor proceeded to tell me that Payton has a delayed nervous system and that eventually her system will catch up and she will be able to take in and accept the environment around her. But, until then, we need to adjust our environment for her. Therefore, if she can't go to walmart, don't go to walmart (my dad went to walmart once and just tried to listen to see what noise could be bothering Payton and he believes it is the air conditioning/heating system). If Payton can't handle restaurants, then don't go to restaurants. I told her that was fine but Payton now has a younger brother and we are going to have to be able to go places for him. I don't mind her advice, but because she's never been in the situation, I don't think she realizes how secluded it feels. Even some family gatherings that we want to attend, yet have to say no to because it just doesn't work for Payton as far as eating out, attending ballgames, etc. She said Payton would eventually outgrow the anxiety and her nervous system would develop to where she can handle these situations. She also mentioned she thought Payton had an obsession problem to where she tends to obsess about things (baby elephants, windshield wipers, koen's nebulizer, etc.). I don't think I could ever get the doctor to realize that yes, she may be obsessing about it but it's because the noise hurts her ears. Even throughout the appointment there were several times she got real anxious and would say "what's that noise?". The secretary moved her coat and the buttons clanked against the table - it bothered Payton. Someone was talking outside the room, it made Payton nervous. Someone flushed the toilet in the bathroom and Payton gets scared. I don't understand how the doctor couldn't see from just the thirty minutes we were in there that the issue was anxiety. She kept thinking that Payton had adhd and needed medication for that. I disagreed and told her if she was to be on any medication it needed to be anti-anxiety. Therefore, she has decided to send Payton to a child psychologist and go from there. I wish so badly that before a doctor sees my child they would do a little bit of research on williams syndrome before trying to help us.

The afternoon ended well, though. We got to stop by my grandparents (my gpa had just had surgery yesterday morning on his hand and he looked amazingly well!). They can always bring a smile to my face - and Payton ofcourse gets spoiled rotten so she loves it too.


camille said...

Oh my word. I'm furious for you. What in the world is wrong with people? (I have a bit of a chip on my shoulder today so I realize I may be slightly overreacting!) But serious, you are her mother. Anxiety and WS go hand in hand. You know that anxiety is what is bothering her. Why can't you just try anti-anxiety meds and see if it helps. I think you might need to get a second opinion. This is nuts. I'm so sorry.

Noel said...

I totally agree with Camille, get a second opinion, the first one seemed to know nothing about WS. And the anxiety thing...we start behavior therapy next month so I'll let you know what becomes of that. I have talked to this therapist several times over the last year and she sees several other kids with WS so I am hopeful that she can help. Let me know what the psychologist says. Call me sometime and we will get together.


Katie said...

38inches?! Wow, that is officially taller than Jaiden :)
Go Payton!!
I remember J's psychologist telling me that although he is terrified of certain noises if we shelter him from them he will think that there is something to be afraid of and that we will actually be reinforcing the fear.
I was trying to tell her that i thought the noises physically hurt his ears and she wouldnt take it. I also have trouble trying to explain the difference in the behaviour with anxiey and temper sigh...
Go for that 2nd opinion.
Glad your grandpa is doing well :)

Penny said...

I am so sorry it wasn't more positive for you. This is just my opinion, so feel free to disregard it, but I just feel compelled to share since both of our kids have so much anxiety. My feeling is that we cannot shelter our children from everything that makes them anxious. before you know it, they will be locked in their room forever. These are everyday sounds and with behavior therapy and perhaps medication, we can help our children get de-sensetized from these noises and obsessions. Keith obsesses too. Especially lawnmowers. Well, we are in Florida and I cannot shelter him from Lawnmowers. Same with sliding doors (like at the grocery store or Target, Wal-Mart, etc.) I can't and won't avoid these places and things. I talk Keith through it. I took pictures of lawnmowers and made him a book and we talked about them when he was calm and he is now de-sensetized. Payton cannot live a good life in a world wothout noise. It's part of life. You can't shelter her, so you have to find ways to help her adjust to her natural environment. It will help her, and your family.

Get another opinion, from someone who does not want to shelter your child, but help her be healthy and happy and feel safe everywhere she goes.

Ok, sorry if I stepped over the line. I hope you don't mind my opinion.

Next to the text, the page also holds molecular data:
- - -
[1]
8
Properties=species:S:1:pos:R:3:forces:R:3:nbo_charge:R:1 method="wB97M-V/def2-TZVPD" e_above_lowest_kcal_mol=20.6 s2=2.013 e_homo_ev="-7.8 / -11.7" spin_multiplicity=3 e_tot_ev=-23141.957 homo_lumo_gap_ev="8.2 / 7.5"
C -0.7636 2.7816 -0.3933 -0.1 2.6 -0.8 0.4824
C 0.4919 -2.7477 0.0170 -4.3 3.2 1.7 1.0333
O -0.2692 3.7235 -0.0178 -0.1 -0.5 0.0 -0.4424
O -0.2914 -2.0053 0.4553 0.7 -0.5 0.9 -0.5568
O -0.0968 1.1623 1.1554 0.0 0.7 2.4 -0.7668
O 0.1785 0.0227 -0.9682 0.3 -0.4 -2.1 -0.7598
O 1.0517 -3.5516 -0.5108 3.7 -3.6 -2.2 -0.4788
S -0.7659 0.5532 0.0057 -0.2 -1.5 0.1 1.4889

=====

[2]
10
Properties=species:S:1:pos:R:3:forces:R:3:nbo_charge:R:1 method="wB97M-V/def2-TZVPD" e_above_lowest_kcal_mol=144.2 e_homo_ev="-8.9 / -8.9" e_tot_ev=-16985.239 homo_lumo_gap_ev="7.8 / 7.6"
C -2.9959 0.0661 0.9080 -1.6 0.5 0.4 0.1496
C -0.2355 0.6575 -0.6094 -3.0 -2.1 1.9 -0.3624
C -1.7399 -0.4022 0.9644 6.0 -0.7 -0.9 -0.4856
N -4.0596 0.5004 0.7661 -0.1 0.0 0.0 -0.2797
N 0.6508 -1.5551 1.3914 -0.9 1.3 -0.9 -1.0409
S -0.8029 -1.3948 1.9243 -1.4 0.4 -1.0 0.9910
H -0.8402 0.2960 -1.4388 0.2 1.0 0.0 0.2260
H 0.5129 0.0414 -0.2612 1.8 -1.7 0.0 0.2061
H 1.1504 -2.3544 1.7318 -0.2 -0.4 0.8 0.3878
H -0.1770 1.5359 -0.0294 -0.7 1.5 -0.4 0.2080

=====

[3]
59
Properties=species:S:1:pos:R:3:forces:R:3:nbo_charge:R:1 method="wB97M-V/def2-TZVPD" e_above_lowest_kcal_mol=1.0 e_homo_ev=-7.8 e_tot_ev=-64176.951 homo_lumo_gap_ev=8.2 smiles="COc1cc2c(cc1NC(=O)CSc1nnc(Cc3cccs3)n1Cc1ccco1)oc1ccccc12"
C 0.4095 2.6784 3.2153 0.0 0.0 0.3 -0.2460
H 1.2933 3.0178 3.7513 -0.1 0.0 0.0 0.2081
O 0.7112 2.8480 1.8521 -0.1 0.0 -0.5 -0.5186
C -0.1585 2.3502 0.9247 -0.1 0.0 0.0 0.3391
C -1.4415 1.9179 1.1971 0.2 0.1 0.0 -0.3196
C -2.2174 1.4367 0.1450 0.4 0.1 -0.6 -0.0654
C -1.7033 1.4159 -1.1617 0.1 0.2 1.2 0.2765
C -0.4213 1.8468 -1.4547 -0.2 -0.1 -0.2 -0.2801
C 0.3569 2.2918 -0.3981 -0.1 0.0 0.0 0.1084
N 1.7067 2.6242 -0.5271 -0.2 0.3 0.4 -0.6252
C 2.4774 2.5580 -1.6407 0.3 0.3 0.1 0.6659
O 2.0683 2.4660 -2.7766 -0.1 -0.1 -0.3 -0.6033
C 3.9670 2.5542 -1.3198 -0.1 -0.4 0.1 -0.5944
H 4.2175 3.0304 -0.3749 0.0 0.1 -0.1 0.2447
H 4.5351 2.9772 -2.1464 -0.1 0.0 0.1 0.2578
S 4.4939 0.8048 -1.2362 0.3 0.1 -0.3 0.2823
C 3.6433 0.3243 0.2031 0.1 0.0 0.1 0.1754
N 3.2904 1.0985 1.1947 0.7 0.4 -0.7 -0.3462
N 2.6310 0.3397 2.0858 -0.6 -0.5 0.9 -0.2956
C 2.5934 -0.8823 1.6407 0.2 -0.1 0.0 0.3542
N 3.2378 -0.9605 0.4327 0.0 0.7 0.4 -0.3681
C 3.3441 -2.0725 -0.4702 -0.2 -0.5 -0.5 -0.2670
C 2.1354 -2.1494 -1.3548 -0.3 0.8 0.1 0.3154
C 1.1547 -1.2424 -1.6195 0.6 -0.3 0.2 -0.3225
C 0.2686 -1.8770 -2.5251 0.2 -0.5 -0.2 -0.2949
C 0.7811 -3.1158 -2.7407 -0.7 0.5 -0.3 0.0809
O 1.9131 -3.2931 -2.0340 0.6 -0.3 0.1 -0.4207
H 0.4541 -3.9361 -3.3476 0.0 -0.2 -0.1 0.2033
H -0.6200 -1.4549 -2.9457 -0.2 0.0 -0.1 0.2346
H 1.0570 -0.2524 -1.2252 0.1 0.2 0.2 0.2397
H 3.4417 -3.0026 0.0995 0.1 0.1 -0.1 0.2293
H 4.2503 -1.9395 -1.0735 -0.1 -0.1 0.2 0.2337
C 1.9091 -2.0216 2.3045 0.0 0.1 0.0 -0.4771
- - -

Love ya

Heather said...

It does get better regarding the noises. But the anxiety persists anyway. It just moves on to other things. I sent you back an email yesterday and told you what I think about the geneticist and the upcoming psychologist. You will be better off in his/her care for meds. don't feel bad at all. That is what they are for. Geneticists and regular pediatricians can only do so much when it comes to meds for kids.

Amy said...

Hmmm, I think you should send this info onto the WS clinic in Louisville and ask Dr.Mervis to comment. I would be curious to see what she says. A lot of medical professionals like to bulk our kids into a large group thinking the ALL developmentally delayed kids are the same. I already see it at school, the head sp. ed. teacher asked me a month ago what Avery's DX was...she didn't even read her friggin file?!?!?!?! Nor did anyone pass on the info I printed off for the teachers and aides in the classroom. What I don't think they understand is that the sensitive hearing and anxiety are acutely linked in our kiddos, often causing the add, because the kids can't focus because they are so scared of loud noises. Dumb asses(:

Penny said...


To answer your question, he is holding red beads and they were stringing them onto pipe cleaners to work on his fine motor skills

Julie said...

When I went to the seminar they said our kids have 60-70% chance of some anxiety or phobia, not "osession". I wish some of these doctors would do the homework instead of expecting us to know everything. When Noah had his ear infection the Dr and I spent 5 min. looking at his ears and 15 minutes me educating him about ws because he thought another child had it. The sad thing is he knows more about ws than any other pediatrician in my area. It is so frustrating. Glad Payton put a smile on her face later. She is so pretty.

Laura said...

What's wrong with some of these doctors?! So, you were basically told to be a shut-in......ricidulous! And at all realistic for either you or Payton. Would it kill them to actually take the extra 5 minutes to get to know the child they are trying to treat?
I love seeing the pictures of Payton's smiling face, she's just so beautiful!

Nancy said...

Sometimes I think Erik's problems with sounds are the most severe of all. We don't do anything that makes him scream in agony, but I have put him in day care one day a week to be around other kids (he freaks) and avoid situations that cause him pain. Other than that, I cross my fingers and knock wood that an outing won't be awful. I feel your pain. I really do.

Kerry said...

I totally agree with the others, especially Penny. My older son has a peanut allergy and while the situations are different, he has to learn to live in the "real" world like everyone else. (It's not as easy as you may think.) Amy had a good idea about asking Dr Mervis - I would be interested to hear her opinion, you know she has crossed many other WS kids like Payton and may have very helpful advice.

You are so on target with Payton - go with your gut :) You are such a great mom!